_Listing_
ORCA calculation (wB97M-V/def2-TZVPD) on a molecular structure, C41H48B2N8O4Ta.

Summary:
* E_LUMO: -4.041 eV
* charge: +1
* highest occupied orbital energy: -10.3 eV
* energy relative to the best compared isomer or geometry (same formula, charge and spin): 3.4 kcal per mole
* Kohn-Sham gap: 6.281 eV

Last column: Mulliken charge in e.
Geometry (Å):
Ta1 0.1843 -0.6143 0.1858  2.772
C1 2.8210 3.2976 0.0112  -1.461
C2 2.7136 2.2481 -1.0961  2.017
C3 3.4946 2.6677 -2.3393  -1.746
C4 3.1774 0.9156 -0.5923  -0.283
C5 4.4827 0.4240 -0.5616  -1.299
C6 4.3892 -0.8472 -0.0430  -0.522
N1 3.1081 -1.1091 0.2296  0.149
N2 2.3394 -0.0132 -0.0945  0.160
B1 2.5369 -2.3883 0.8280  -0.150
N3 1.8039 -2.1288 2.1297  0.438
C7 1.7818 -2.8760 3.2369  -0.544
C8 0.8900 -2.3234 4.1263  -1.358
C9 0.3718 -1.1924 3.4890  -0.194
N4 0.9360 -1.0770 2.2724  -0.037
C10 -0.6838 -0.2427 3.9895  2.138
C11 -0.4149 1.1968 3.5714  -1.189
C12 -0.8247 -0.3626 5.5080  -1.917
N5 1.4553 -3.0132 -0.2213  0.760
C13 1.8785 -3.4459 -2.5070  -1.252
C14 1.0228 -2.6428 -3.1621  -0.345
C15 0.0641 -1.6102 -2.7761  0.862
N6 0.0946 -1.0275 -1.6458  0.497
C16 -1.0234 -1.1758 -3.7461  1.692
C17 -0.9574 -1.8074 -5.1309  -1.990
C18 -1.0824 0.3518 -3.8238  -1.193
H1 2.4395 4.2573 -0.3392  0.408
H2 2.2432 2.9987 0.8860  0.262
H3 3.8600 3.4369 0.3166  0.422
H4 1.6612 2.1378 -1.3601  -0.428
H5 4.5522 2.8196 -2.1160  0.340
H6 3.4217 1.9214 -3.1312  0.373
H7 3.1046 3.6103 -2.7225  0.453
H8 5.3751 0.9276 -0.8863  0.488
H9 5.1462 -1.5883 0.1520  0.520
H10 3.3858 -3.2164 0.9532  -0.064
H11 2.4221 -3.7390 3.3205  0.560
H12 0.6701 -2.6672 5.1198  0.517
H13 -1.6295 -0.5631 3.5339  -0.332
H14 0.5864 1.5102 3.8772  0.413
H15 -0.5194 1.3481 2.4993  -0.039
H16 -1.1388 1.8637 4.0424  0.409
H17 0.1078 -0.0968 6.0100  0.390
H18 -1.6007 0.3150 5.8612  0.451
H19 -1.1044 -1.3688 5.8173  0.439
H20 2.5166 -4.0961 -3.0942  0.501
H21 1.0845 -2.8199 -4.2279  0.427
H22 -1.9394 -1.5132 -3.2431  -0.161
H23 -0.0450 -1.5258 -5.6608  0.423
H24 -1.0206 -2.8957 -5.1006  0.465
H25 -1.7956 -1.4494 -5.7279  0.435
H26 -0.1829 0.7503 -4.2985  0.376
H27 -1.9396 0.6538 -4.4250  0.412
H28 -1.1780 0.7944 -2.8319  0.059
N7 -2.2475 9.2155 -0.0028  -0.496
C19 -1.9488 8.1068 0.0083  -0.179
C20 -1.5740 6.7168 0.0216  0.564
C21 -0.8425 6.2099 1.0918  -0.824
C22 -0.4805 4.8757 1.1038  -0.273
C23 -0.8514 4.0395 0.0486  0.081
C24 -1.5874 4.5577 -1.0209  -0.111
C25 -1.9471 5.8915 -1.0363  -0.813
C26 -0.4952 2.6557 0.0617  0.485
C27 -0.2277 1.4702 0.0746  -1.730
H29 -0.5612 6.8614 1.9074  0.471
H30 0.0868 4.4734 1.9319  0.551
H31 -1.8727 3.9078 -1.8374  0.385
H32 -2.5156 6.2980 -1.8611  0.484
C28 -4.9362 -0.1937 1.9070  -2.063
C29 -4.1799 0.6695 0.9100  1.738
C30 -4.6289 2.1163 1.0363  -1.792
O1 -2.7761 0.6217 1.2796  -0.114
B2 -2.0997 -0.1152 0.3546  -1.095
O2 -2.8941 -0.5551 -0.6777  -0.067
C31 -4.1859 0.1147 -0.5573  1.633
C32 -4.1764 1.2042 -1.6204  -1.696
C33 -5.2652 -0.9100 -0.8441  -2.034
H33 -4.7803 0.2132 2.9064  0.501
H34 -4.5877 -1.2249 1.9002  0.240
H35 -6.0072 -0.1786 1.7026  0.382
H36 -4.5481 2.4250 2.0784  0.416
H37 -5.6719 2.2259 0.7342  0.358
H38 -4.0174 2.7901 0.4386  0.271
H39 -3.3404 1.8896 -1.4649  0.003
H40 -5.1019 1.7802 -1.6275  0.385
H41 -4.0558 0.7393 -2.5995  0.441
H42 -5.1959 -1.7593 -0.1671  0.327
H43 -5.1560 -1.2743 -1.8659  0.459
H44 -6.2577 -0.4670 -0.7481  0.384
O3 -2.7851 -2.8985 1.4499  -0.527
C34 -1.8539 -3.3234 0.8409  -0.523
N8 -0.6253 -2.6191 0.5999  0.804
C35 0.2118 -3.4547 -0.0051  0.291
O4 2.1469 -3.7328 -1.2115  -0.424
C36 -0.4184 -4.7437 -0.3547  0.231
C37 0.0271 -5.9015 -0.9700  -0.431
C38 -0.8664 -6.9668 -1.0299  -0.851

_Exercise_
It remains to echo all of the block further up word for word.

_Response_
ORCA calculation (wB97M-V/def2-TZVPD) on a molecular structure, C41H48B2N8O4Ta.

Summary:
* E_LUMO: -4.041 eV
* charge: +1
* highest occupied orbital energy: -10.3 eV
* energy relative to the best compared isomer or geometry (same formula, charge and spin): 3.4 kcal per mole
* Kohn-Sham gap: 6.281 eV

Last column: Mulliken charge in e.
Geometry (Å):
Ta1 0.1843 -0.6143 0.1858  2.772
C1 2.8210 3.2976 0.0112  -1.461
C2 2.7136 2.2481 -1.0961  2.017
C3 3.4946 2.6677 -2.3393  -1.746
C4 3.1774 0.9156 -0.5923  -0.283
C5 4.4827 0.4240 -0.5616  -1.299
C6 4.3892 -0.8472 -0.0430  -0.522
N1 3.1081 -1.1091 0.2296  0.149
N2 2.3394 -0.0132 -0.0945  0.160
B1 2.5369 -2.3883 0.8280  -0.150
N3 1.8039 -2.1288 2.1297  0.438
C7 1.7818 -2.8760 3.2369  -0.544
C8 0.8900 -2.3234 4.1263  -1.358
C9 0.3718 -1.1924 3.4890  -0.194
N4 0.9360 -1.0770 2.2724  -0.037
C10 -0.6838 -0.2427 3.9895  2.138
C11 -0.4149 1.1968 3.5714  -1.189
C12 -0.8247 -0.3626 5.5080  -1.917
N5 1.4553 -3.0132 -0.2213  0.760
C13 1.8785 -3.4459 -2.5070  -1.252
C14 1.0228 -2.6428 -3.1621  -0.345
C15 0.0641 -1.6102 -2.7761  0.862
N6 0.0946 -1.0275 -1.6458  0.497
C16 -1.0234 -1.1758 -3.7461  1.692
C17 -0.9574 -1.8074 -5.1309  -1.990
C18 -1.0824 0.3518 -3.8238  -1.193
H1 2.4395 4.2573 -0.3392  0.408
H2 2.2432 2.9987 0.8860  0.262
H3 3.8600 3.4369 0.3166  0.422
H4 1.6612 2.1378 -1.3601  -0.428
H5 4.5522 2.8196 -2.1160  0.340
H6 3.4217 1.9214 -3.1312  0.373
H7 3.1046 3.6103 -2.7225  0.453
H8 5.3751 0.9276 -0.8863  0.488
H9 5.1462 -1.5883 0.1520  0.520
H10 3.3858 -3.2164 0.9532  -0.064
H11 2.4221 -3.7390 3.3205  0.560
H12 0.6701 -2.6672 5.1198  0.517
H13 -1.6295 -0.5631 3.5339  -0.332
H14 0.5864 1.5102 3.8772  0.413
H15 -0.5194 1.3481 2.4993  -0.039
H16 -1.1388 1.8637 4.0424  0.409
H17 0.1078 -0.0968 6.0100  0.390
H18 -1.6007 0.3150 5.8612  0.451
H19 -1.1044 -1.3688 5.8173  0.439
H20 2.5166 -4.0961 -3.0942  0.501
H21 1.0845 -2.8199 -4.2279  0.427
H22 -1.9394 -1.5132 -3.2431  -0.161
H23 -0.0450 -1.5258 -5.6608  0.423
H24 -1.0206 -2.8957 -5.1006  0.465
H25 -1.7956 -1.4494 -5.7279  0.435
H26 -0.1829 0.7503 -4.2985  0.376
H27 -1.9396 0.6538 -4.4250  0.412
H28 -1.1780 0.7944 -2.8319  0.059
N7 -2.2475 9.2155 -0.0028  -0.496
C19 -1.9488 8.1068 0.0083  -0.179
C20 -1.5740 6.7168 0.0216  0.564
C21 -0.8425 6.2099 1.0918  -0.824
C22 -0.4805 4.8757 1.1038  -0.273
C23 -0.8514 4.0395 0.0486  0.081
C24 -1.5874 4.5577 -1.0209  -0.111
C25 -1.9471 5.8915 -1.0363  -0.813
C26 -0.4952 2.6557 0.0617  0.485
C27 -0.2277 1.4702 0.0746  -1.730
H29 -0.5612 6.8614 1.9074  0.471
H30 0.0868 4.4734 1.9319  0.551
H31 -1.8727 3.9078 -1.8374  0.385
H32 -2.5156 6.2980 -1.8611  0.484
C28 -4.9362 -0.1937 1.9070  -2.063
C29 -4.1799 0.6695 0.9100  1.738
C30 -4.6289 2.1163 1.0363  -1.792
O1 -2.7761 0.6217 1.2796  -0.114
B2 -2.0997 -0.1152 0.3546  -1.095
O2 -2.8941 -0.5551 -0.6777  -0.067
C31 -4.1859 0.1147 -0.5573  1.633
C32 -4.1764 1.2042 -1.6204  -1.696
C33 -5.2652 -0.9100 -0.8441  -2.034
H33 -4.7803 0.2132 2.9064  0.501
H34 -4.5877 -1.2249 1.9002  0.240
H35 -6.0072 -0.1786 1.7026  0.382
H36 -4.5481 2.4250 2.0784  0.416
H37 -5.6719 2.2259 0.7342  0.358
H38 -4.0174 2.7901 0.4386  0.271
H39 -3.3404 1.8896 -1.4649  0.003
H40 -5.1019 1.7802 -1.6275  0.385
H41 -4.0558 0.7393 -2.5995  0.441
H42 -5.1959 -1.7593 -0.1671  0.327
H43 -5.1560 -1.2743 -1.8659  0.459
H44 -6.2577 -0.4670 -0.7481  0.384
O3 -2.7851 -2.8985 1.4499  -0.527
C34 -1.8539 -3.3234 0.8409  -0.523
N8 -0.6253 -2.6191 0.5999  0.804
C35 0.2118 -3.4547 -0.0051  0.291
O4 2.1469 -3.7328 -1.2115  -0.424
C36 -0.4184 -4.7437 -0.3547  0.231
C37 0.0271 -5.9015 -0.9700  -0.431
C38 -0.8664 -6.9668 -1.0299  -0.851